[What to do]
Reproduce everything further down word for word.
[Listing]
# NaZr3ZnP3S3O24 (PBE, optimized geometry)
data_NaZr3ZnP3S3O24
_chemical_formula_sum 'Na3 Zr9 Zn3 P9 S9 O72'
_cell_length_a 8.913
_cell_length_b 8.922
_cell_length_c 23.196
_cell_angle_alpha 90.02
_cell_angle_beta 90.05
_cell_angle_gamma 119.89
_space_group_name_H-M_alt 'P 1'
_space_group_IT_number 1
loop_
_space_group_symop_operation_xyz
'x,y,z'
loop_
_atom_site_label
_atom_site_fract_x
_atom_site_fract_y
_atom_site_fract_z
Na1 0.000 0.000 0.000
Na2 0.002 0.014 0.502
Na3 0.341 0.681 0.843
Zr1 0.005 0.002 0.653
Zr2 0.012 0.008 0.152
Zr3 0.330 0.667 0.484
Zr4 0.343 0.680 0.692
Zr5 0.344 0.674 0.193
Zr6 0.663 0.340 0.029
Zr7 0.665 0.342 0.815
Zr8 0.671 0.343 0.318
Zr9 0.675 0.339 0.531
Zn1 0.011 0.030 0.358
Zn2 0.347 0.688 0.991
Zn3 0.999 0.995 0.853
P1 0.051 0.677 0.589
P2 0.288 0.003 0.759
P3 0.289 0.295 0.258
P4 0.334 0.383 0.589
P5 0.334 0.957 0.087
P6 0.627 0.680 0.087
P7 0.627 0.960 0.588
P8 0.714 0.723 0.759
P9 0.956 0.332 0.422
S1 0.005 0.722 0.258
S2 0.006 0.297 0.758
S3 0.050 0.386 0.087
S4 0.373 0.341 0.922
S5 0.376 0.052 0.423
S6 0.672 0.049 0.922
S7 0.677 0.636 0.422
S8 0.717 0.007 0.257
S9 0.964 0.633 0.923
O1 0.024 0.207 0.097
O2 0.029 0.838 0.595
O3 0.033 0.826 0.309
O4 0.036 0.222 0.810
O5 0.127 0.490 0.140
O6 0.133 0.650 0.643
O7 0.134 0.498 0.430
O8 0.135 0.644 0.928
O9 0.155 0.458 0.036
O10 0.156 0.698 0.246
O11 0.158 0.474 0.750
O12 0.164 0.705 0.535
O13 0.172 0.203 0.596
O14 0.176 0.986 0.097
O15 0.179 0.218 0.311
O16 0.181 0.974 0.813
O17 0.202 0.029 0.417
O18 0.203 0.183 0.918
O19 0.205 0.181 0.203
O20 0.207 0.033 0.704
O21 0.295 0.847 0.033
O22 0.306 0.470 0.535
O23 0.312 0.476 0.244
O24 0.312 0.844 0.749
O25 0.358 0.873 0.142
O26 0.361 0.494 0.642
O27 0.361 0.499 0.928
O28 0.367 0.882 0.429
O29 0.461 0.161 0.474
O30 0.464 0.320 0.974
O31 0.471 0.164 0.766
O32 0.472 0.317 0.267
O33 0.484 0.362 0.871
O34 0.485 0.136 0.371
O35 0.494 0.365 0.578
O36 0.496 0.139 0.079
O37 0.513 0.878 0.926
O38 0.515 0.649 0.142
O39 0.517 0.878 0.642
O40 0.518 0.649 0.429
O41 0.528 0.693 0.749
O42 0.540 0.846 0.534
O43 0.540 0.856 0.247
O44 0.549 0.710 0.033
O45 0.642 0.138 0.580
O46 0.648 0.518 0.079
O47 0.648 0.525 0.370
O48 0.653 0.139 0.871
O49 0.689 0.157 0.974
O50 0.696 0.162 0.264
O51 0.697 0.542 0.766
O52 0.697 0.548 0.474
O53 0.787 0.833 0.812
O54 0.789 0.973 0.308
O55 0.809 0.838 0.098
O56 0.810 0.984 0.596
O57 0.823 0.035 0.205
O58 0.824 0.807 0.704
O59 0.830 0.806 0.416
O60 0.831 0.037 0.918
O61 0.842 0.314 0.475
O62 0.849 0.546 0.264
O63 0.850 0.316 0.765
O64 0.854 0.542 0.975
O65 0.867 0.359 0.368
O66 0.870 0.518 0.580
O67 0.874 0.365 0.081
O68 0.874 0.525 0.871
O69 0.974 0.171 0.418
O70 0.974 0.799 0.205
O71 0.976 0.804 0.920
O72 0.979 0.193 0.705
# Total moment: 0.0 μB per formula unit
# Energy relative to the elements: -2.70 eV/atom
# Total DFT energy (no corrections): -7.243 eV per atom
# Crystal system: triclinic

=====

Model a:
VASP calculation (PBE with a Hubbard U) on MgCo5P8O28 after structural relaxation.

a = 7.324 Å, b = 7.922 Å, c = 10.210 Å
α = 107.44°, β = 86.22°, γ = 94.68°
Fractional positions:
O 0.127 0.411 0.721
O 0.997 0.765 0.052
O 0.926 0.784 0.822
O 0.989 0.214 0.953
O 0.384 0.111 0.640
O 0.900 0.552 0.248
O 0.702 0.627 0.954
O 0.257 0.000 0.242
O 0.306 0.780 0.405
O 0.987 0.132 0.402
O 0.650 0.356 0.094
O 0.332 0.621 0.900
O 0.475 0.435 0.678
O 0.696 0.975 0.776
O 0.415 0.707 0.152
O 0.291 0.358 0.037
O 0.716 0.215 0.591
O 0.695 0.311 0.322
O 0.248 0.024 0.980
O 0.745 0.964 0.036
O 0.008 0.966 0.656
O 0.621 0.902 0.338
O 0.589 0.289 0.838
O 0.554 0.576 0.313
O 0.778 0.691 0.586
O 0.076 0.224 0.190
O 0.295 0.689 0.680
O 0.283 0.315 0.404
Co 0.262 0.872 0.601
Co 0.243 0.831 0.064
Co 0.493 0.495 0.994
Co 0.721 0.127 0.383
Co 0.734 0.151 0.946
P 0.164 0.173 0.315
P 0.155 0.202 0.035
P 0.845 0.847 0.697
P 0.720 0.453 0.244
P 0.837 0.788 0.969
P 0.537 0.251 0.686
P 0.292 0.542 0.742
P 0.467 0.750 0.306
Mg 0.997 0.200 0.613

Density ... 2.99 g cm⁻³

Model b:
[Result]
# NaZr3ZnP3S3O24 (PBE, optimized geometry)
data_NaZr3ZnP3S3O24
_chemical_formula_sum 'Na3 Zr9 Zn3 P9 S9 O72'
_cell_length_a 8.913
_cell_length_b 8.922
_cell_length_c 23.196
_cell_angle_alpha 90.02
_cell_angle_beta 90.05
_cell_angle_gamma 119.89
_space_group_name_H-M_alt 'P 1'
_space_group_IT_number 1
loop_
_space_group_symop_operation_xyz
'x,y,z'
loop_
_atom_site_label
_atom_site_fract_x
_atom_site_fract_y
_atom_site_fract_z
Na1 0.000 0.000 0.000
Na2 0.002 0.014 0.502
Na3 0.341 0.681 0.843
Zr1 0.005 0.002 0.653
Zr2 0.012 0.008 0.152
Zr3 0.330 0.667 0.484
Zr4 0.343 0.680 0.692
Zr5 0.344 0.674 0.193
Zr6 0.663 0.340 0.029
Zr7 0.665 0.342 0.815
Zr8 0.671 0.343 0.318
Zr9 0.675 0.339 0.531
Zn1 0.011 0.030 0.358
Zn2 0.347 0.688 0.991
Zn3 0.999 0.995 0.853
P1 0.051 0.677 0.589
P2 0.288 0.003 0.759
P3 0.289 0.295 0.258
P4 0.334 0.383 0.589
P5 0.334 0.957 0.087
P6 0.627 0.680 0.087
P7 0.627 0.960 0.588
P8 0.714 0.723 0.759
P9 0.956 0.332 0.422
S1 0.005 0.722 0.258
S2 0.006 0.297 0.758
S3 0.050 0.386 0.087
S4 0.373 0.341 0.922
S5 0.376 0.052 0.423
S6 0.672 0.049 0.922
S7 0.677 0.636 0.422
S8 0.717 0.007 0.257
S9 0.964 0.633 0.923
O1 0.024 0.207 0.097
O2 0.029 0.838 0.595
O3 0.033 0.826 0.309
O4 0.036 0.222 0.810
O5 0.127 0.490 0.140
O6 0.133 0.650 0.643
O7 0.134 0.498 0.430
O8 0.135 0.644 0.928
O9 0.155 0.458 0.036
O10 0.156 0.698 0.246
O11 0.158 0.474 0.750
O12 0.164 0.705 0.535
O13 0.172 0.203 0.596
O14 0.176 0.986 0.097
O15 0.179 0.218 0.311
O16 0.181 0.974 0.813
O17 0.202 0.029 0.417
O18 0.203 0.183 0.918
O19 0.205 0.181 0.203
O20 0.207 0.033 0.704
O21 0.295 0.847 0.033
O22 0.306 0.470 0.535
O23 0.312 0.476 0.244
O24 0.312 0.844 0.749
O25 0.358 0.873 0.142
O26 0.361 0.494 0.642
O27 0.361 0.499 0.928
O28 0.367 0.882 0.429
O29 0.461 0.161 0.474
O30 0.464 0.320 0.974
O31 0.471 0.164 0.766
O32 0.472 0.317 0.267
O33 0.484 0.362 0.871
O34 0.485 0.136 0.371
O35 0.494 0.365 0.578
O36 0.496 0.139 0.079
O37 0.513 0.878 0.926
O38 0.515 0.649 0.142
O39 0.517 0.878 0.642
O40 0.518 0.649 0.429
O41 0.528 0.693 0.749
O42 0.540 0.846 0.534
O43 0.540 0.856 0.247
O44 0.549 0.710 0.033
O45 0.642 0.138 0.580
O46 0.648 0.518 0.079
O47 0.648 0.525 0.370
O48 0.653 0.139 0.871
O49 0.689 0.157 0.974
O50 0.696 0.162 0.264
O51 0.697 0.542 0.766
O52 0.697 0.548 0.474
O53 0.787 0.833 0.812
O54 0.789 0.973 0.308
O55 0.809 0.838 0.098
O56 0.810 0.984 0.596
O57 0.823 0.035 0.205
O58 0.824 0.807 0.704
O59 0.830 0.806 0.416
O60 0.831 0.037 0.918
O61 0.842 0.314 0.475
O62 0.849 0.546 0.264
O63 0.850 0.316 0.765
O64 0.854 0.542 0.975
O65 0.867 0.359 0.368
O66 0.870 0.518 0.580
O67 0.874 0.365 0.081
O68 0.874 0.525 0.871
O69 0.974 0.171 0.418
O70 0.974 0.799 0.205
O71 0.976 0.804 0.920
O72 0.979 0.193 0.705
# Total moment: 0.0 μB per formula unit
# Energy relative to the elements: -2.70 eV/atom
# Total DFT energy (no corrections): -7.243 eV per atom
# Crystal system: triclinic

=====

Model a:
VASP calculation (PBE with a Hubbard U) on MgCo5P8O28 after structural relaxation.

a = 7.324 Å, b = 7.922 Å, c = 10.210 Å
α = 107.44°, β = 86.22°, γ = 94.68°
Fractional positions:
O 0.127 0.411 0.721
O 0.997 0.765 0.052
O 0.926 0.784 0.822
O 0.989 0.214 0.953
O 0.384 0.111 0.640
O 0.900 0.552 0.248
O 0.702 0.627 0.954
O 0.257 0.000 0.242
O 0.306 0.780 0.405
O 0.987 0.132 0.402
O 0.650 0.356 0.094
O 0.332 0.621 0.900
O 0.475 0.435 0.678
O 0.696 0.975 0.776
O 0.415 0.707 0.152
O 0.291 0.358 0.037
O 0.716 0.215 0.591
O 0.695 0.311 0.322
O 0.248 0.024 0.980
O 0.745 0.964 0.036
O 0.008 0.966 0.656
O 0.621 0.902 0.338
O 0.589 0.289 0.838
O 0.554 0.576 0.313
O 0.778 0.691 0.586
O 0.076 0.224 0.190
O 0.295 0.689 0.680
O 0.283 0.315 0.404
Co 0.262 0.872 0.601
Co 0.243 0.831 0.064
Co 0.493 0.495 0.994
Co 0.721 0.127 0.383
Co 0.734 0.151 0.946
P 0.164 0.173 0.315
P 0.155 0.202 0.035
P 0.845 0.847 0.697
P 0.720 0.453 0.244
P 0.837 0.788 0.969
P 0.537 0.251 0.686
P 0.292 0.542 0.742
P 0.467 0.750 0.306
Mg 0.997 0.200 0.613

Density ... 2.99 g cm⁻³

Model b: